Brief:
Write out only the lines further below with the word "charge" in them.
Data:
********
No. 1
Computed, not measured: 8 unconnected molecules or ions with the total composition C44H44N4O8 at a distorted geometry, with ωB97M-V/def2-TZVPD.

**Frontier orbital gap**: 8.23 eV
**HOMO level**: -8.03 eV
**Energy above the lowest of the compared OMol25 structures with the same formula, charge and spin**: 80.1 kcal per mole
**Structure (SMILES)**: Oc1ccc(O)cc1.Oc1ccc(O)cc1.Oc1ccc(O)cc1.Oc1ccc(O)cc1.c1ccncc1.c1ccncc1.c1ccncc1.c1ccncc1
**E**: -2523.41183 Ha
**E_LUMO**: 0.0074 hartree

Cartesian coordinates (Å):
O 7.5225 0.0427 11.6480
C 7.3793 1.3868 11.6919
C 6.3093 2.0368 11.1713
C 6.1438 3.5630 11.4632
C 7.2450 4.2995 12.0508
O 7.2930 5.6208 12.1495
C 8.3220 3.5099 12.5333
C 8.4667 2.1175 12.3961
H 7.8274 -0.2716 12.3185
H 5.5493 1.8033 10.6549
H 5.5873 4.1756 11.0213
H 7.7710 6.0909 12.8744
H 9.3105 4.0590 13.0011
H 9.3595 1.6430 12.6480
O 0.5037 7.0026 12.4843
C 1.7579 7.1894 11.9224
C 2.1224 7.8367 10.7852
C 3.5936 7.9478 10.3034
C 4.5122 7.3039 11.1743
O 5.7219 7.1911 10.6915
C 4.1495 6.7491 12.4181
C 2.7874 6.7640 12.7819
H -0.0773 7.5603 11.9548
H 1.0621 8.0652 10.1327
H 3.9205 8.3385 9.3742
H 6.3170 6.4457 11.2057
H 4.8893 6.4877 13.1170
H 2.6821 6.3500 13.8184
O 6.5465 9.4304 8.8560
C 7.1287 9.1334 7.7959
C 7.1953 7.7905 7.1801
C 8.0505 7.5876 5.9228
C 8.8484 8.6691 5.4855
O 9.4133 8.5932 4.2599
C 8.7407 9.9049 6.0619
C 7.8702 10.2067 7.1692
H 6.3787 8.7078 9.2235
H 6.4465 6.9671 7.3999
H 8.1682 6.5198 5.4288
H 8.7682 8.3239 3.4808
H 9.3381 10.8687 5.7550
H 7.9906 11.1464 7.5002
O -0.5483 6.3021 9.5468
C -1.7528 6.2280 8.7981
C -1.8679 5.3618 7.7464
C -3.2060 5.1259 7.0808
C -4.3501 5.7661 7.6833
O -5.5857 5.6791 7.0567
C -4.1445 6.6215 8.7521
C -2.8918 6.7573 9.3403
H -0.0434 5.5386 9.7965
H -0.9889 4.9165 7.2296
H -3.2551 4.5328 6.1898
H -5.5330 4.8109 6.7217
H -5.0309 7.1616 9.0213
H -2.8050 7.6025 10.3054
C 4.3980 11.8600 12.7373
C 4.0202 10.5002 13.1223
C 3.3558 10.2711 14.2958
N 3.0855 11.2773 15.2210
C 3.3472 12.5577 14.8818
C 4.0306 12.8839 13.6104
H 4.9339 12.0770 11.8696
H 4.1771 9.7377 12.3535
H 2.9864 9.3100 14.5795
H 3.1885 13.3222 15.5578
H 4.3621 13.8076 13.4461
C 5.1124 6.2097 16.5038
C 6.4641 6.1851 16.8319
C 7.2784 5.1388 16.4689
N 6.8238 4.0532 15.7357
C 5.5565 4.1671 15.2642
C 4.7266 5.1666 15.7262
H 4.4691 7.0279 16.9948
H 6.8450 6.8602 17.4393
H 8.4912 4.9903 16.7554
H 5.2529 3.2784 14.5187
H 3.7162 5.1960 15.3188
C 3.9512 8.6348 6.0528
C 4.2241 9.9794 5.5621
C 3.1554 10.9479 6.0061
N 2.1099 10.6255 6.7195
C 1.8907 9.3361 7.0301
C 2.7699 8.3369 6.7725
H 4.8858 8.0810 5.8998
H 4.9661 10.2346 4.9839
H 3.5463 12.1128 6.0939
H 0.8255 8.9459 7.4530
H 2.7742 7.4633 7.1582
C 2.1568 4.2898 8.0728
C 1.1908 3.3514 7.9553
C 0.7870 2.5927 8.9733
N 1.2932 2.7398 10.2247
C 2.2734 3.7736 10.3461
C 2.8241 4.4933 9.2908
H 2.4559 5.0515 7.3986
H 0.5413 3.1423 6.8896
H 0.1139 1.8136 8.9631
H 2.6991 3.9109 11.4406
H 3.5051 5.1372 9.3673

---

No. 2
Computed, not measured: 5 unconnected molecules or ions with the total composition CH11O4S at a distorted geometry, with ωB97M-V/def2-TZVPD.

**Charge**: -1
**Frontier orbital gap**: 7.13 eV
**HOMO level**: -3.42 eV
**Energy above the lowest of the compared OMol25 structures with the same formula, charge and spin**: 18.0 kcal per mole
**E**: -743.88506 Ha
**E_LUMO**: 0.1363 hartree

Cartesian coordinates (Å):
C 1.0661 -2.5079 0.1485
S 0.4474 -0.8000 0.4339
H 1.7030 -2.7436 1.0008
H 1.7686 -2.4844 -0.6932
H 0.3248 -3.2608 -0.1125
H -1.2852 -0.5950 -1.4288
H -2.6321 -0.9401 -1.0082
O -2.1753 -0.2174 -1.3882
H -0.5834 -0.1356 2.2562
H -0.2496 0.5934 3.5532
O -1.0190 0.2894 3.0327
H -1.6118 3.5516 0.6542
H -0.4775 2.8078 -0.1395
O -0.8302 3.6741 0.0829
H 1.6980 0.8246 -2.7153
H 1.7915 -0.5519 -2.1786
O 2.2819 0.0855 -2.6979

----------

C2H5N3S in the gas phase in a non-equilibrium geometry, computed with ωB97M-V/def2-TZVPD.

Results
E_HOMO   -9.10 eV
Largest force on an atom   2.209 eV/A
Net charge   0
Structure (SMILES)   [H]/N=C(/N)SN=C
********
Here it is:
**Energy above the lowest of the compared OMol25 structures with the same formula, charge and spin**: 80.1 kcal per mole
**Energy above the lowest of the compared OMol25 structures with the same formula, charge and spin**: 18.0 kcal per mole
Net charge   0